Three Silver Miners On The Sale Rack

While the gold price has managed to hold onto most of its Q1 gains amid the market turmoil, the silver price has not fared nearly as well. In fact, the metal is sitting at a (-) 5% year-to-date return after briefly being up 16% for the year at its March highs. This retracement in the silver price has put a severe dent in margins for silver producers, explaining why the silver miners have significantly underperformed the metal. However, with the Silver Miners Index (SIL) now down nearly 50% from its Q3 2020 highs, this negativity related to weaker margins looks to be mostly priced in, suggesting it’s time for investors to be open-minded to a bottom in the higher-quality names. Let's take a look at a few of the top names sector-wide below:

Silver Daily Chart


Many investors prefer to invest in SIL or the physical metal when it comes to gaining exposure to silver, but neither the ETF nor metal pay dividends and the former is full of poorly run companies with razor-thin margins. For this reason, investing in SIL is even worse than investing in the Gold Miners Index (GDX), where at least the latter has a decent portion of solid companies which balance out the laggards. Given the low quality of SIL, the best way to invest in silver is by selecting the best names sector-wide, and three names that stand out are SilverCrest Metals (SILV), Pan American Silver (PAAS), and Skeena Resources (SKE).

Beginning with SilverCrest Metals (SILV), the company recently announced that the construction of its Las Chispas Project in Mexico is complete, and it is aiming to ramp up to commercial production (full capacity) in Q4 2022. This is an incredible achievement given the continued supply chain headwinds, inflationary pressures, and the COVID-19-related headwinds that have contributed to absenteeism. Most importantly, though, the company managed to complete construction ahead of schedule and on budget, making SilverCrest a population of one in the past year. In fact, we've seen many producers that are not only slightly behind schedule but also more than 50% above their initial budgets.

Silver - SilverCrest Metals

Source: SilverCrest Company Presentation

The above chart shows the 2021 mine plan at the Las Chispas Project, and the projected results were phenomenal. This is because Las Chispas is expected to be one of the top-10 highest grade projects globally on a gold-equivalent basis, with grades coming in at 12 grams per tonne gold equivalent. The high-grade profile of this asset is expected to translate to up to 65% margins at a $22.50/oz silver price, with operating costs likely to come in below $7.75/oz. Typically, producers with high margins command premium valuations. So, given SILV's track record of over-delivering on promises and its organic growth potential, I would expect a material re-rating in the stock in the next 12 months. Based on what I see as a conservative fair value of US$9.70 per share, I would view pullbacks below US$6.90 as buying opportunities, where a meaningful margin of safety would be baked into the stock.

The second name to watch is Pan American Silver (PAAS), a diversified gold and silver producer with operations in Canada, Mexico, Peru, Argentina, and Bolivia. Since the 'silver squeeze' in Q1 2021, Pan American has seen a more than 45% decline in its share price, with this related to lower margins due to a weaker silver price and inflationary pressures. Compounding matters, the company has struggled with workforce availability, with its operations in South America impacted severely by COVID-19, leading to elevated absenteeism. However, the company noted that it's seeing a meaningful improvement in staffing levels post-Omicron, and this should lead to higher production levels in 2023.

Unfortunately, while the market has been laser-focused on its operations, this has overshadowed the exciting news coming out of Mexico at its largest mine, La Colorada. Over the past year, improved ventilation rates have led to higher production at La Colorada, but the major news has been the continued growth of La Colorada Skarn. This high-grade polymetallic deposit lies below the current La Colorada mine workings and is a game-changer. In fact, given the skarn's grades, we could see a significant mine life extension and an increase in production at this mine at lower costs. Hence, it's surprising that the company is paying so little attention to this great news and throwing this sector leader out with the bathwater.

Pan American Silver


Looking at PAAS's valuation above, the stock has rarely been this cheap, trading at less than 6x FY2023 EBITDA vs. what I believe to be a fair value of 8.0x EBITDA and a historical valuation of more than 14x EBTIDA. Based on 8.0x FY2023 EBITDA estimates, I see a fair value for the stock of $29.60, translating to a 30% upside from current levels. Given this attractive valuation, if the stock were to see further weakness and re-test its recent lows near $20.50, I would view this as a buying opportunity.

The final name on the list is very speculative, but it arguably has the most upside of the three if it can execute successfully. This company is Skeena Resources (SKE), a development-stage company with a massive gold and silver resource in British Columbia, Canada. According to the company's most recent Feasibility Study, the company expects to recover 2.5MM ounces of gold and 70MM ounces of silver, or 3.5MM gold-equivalent ounces [GEOs]. Notably, due to the high grades, relatively low throughput rate, and existing infrastructure, the operating costs and internal rate of return [IRR] are industry-leading at $548/oz of gold, with an IRR of 56% at a $1,550/oz gold price and $22.00/oz silver price.

Skeena Resources

Source: Skeena Resources Company Presentation

The stock has come under pressure recently, down 30% year-to-date, with more than $250MM shaved off its market cap. The weakness is related to a dispute on a portion of material outside of its current mine plan (that does not affect project economics) and the fact that most developers have seen material increases in costs to build their projects. This has likely created some anxiety around Skeena's ability to build this project for less than $400MM, in line with its previous estimates. However, with the stock trading at barely 0.60x P/NAV even at conservative metals prices, I would argue that much of this negativity is starting to get priced into the stock. So, if SKE were to dip below US$6.05, I would view this as a buying opportunity.

Disclosure: I am long GLD, SILV

-- Misplaced materials data --
# Ac5Nd2Dy2 GGA-PBE optimized geometry
data_Ac5Nd2Dy2
_cell_length_a 6.599
_cell_length_b 6.616
_cell_length_c 8.590
_cell_angle_alpha 82.36
_cell_angle_beta 74.93
_cell_angle_gamma 80.11
_symmetry_space_group_name_H-M 'P -1'
_symmetry_Int_Tables_number 2
_symmetry_space_group_name_Hall '-P 1'
loop_
_atom_site_label
_atom_site_type_symbol
_atom_site_fract_x
_atom_site_fract_y
_atom_site_fract_z
Ac1 Ac 0.000 0.000 0.000
Ac2 Ac 0.328 0.665 0.672
Ac3 Ac 0.437 0.889 0.224
Nd1 Nd 0.110 0.231 0.550
Dy1 Dy 0.223 0.449 0.111
# * V: 39.47 Å³/atom
# * energy of formation from the pure elements: 0.051 eV per atom

* * * * *

1.
A relaxed structure of Ti2AlZn2. Source: Alexandria via LeMat-Bulk, functional GGA-PBE.

Calculated values
Calculated total energy   -4.316 eV per atom
Size of the total moment   0.000 μB/f.u.
E_form   0.10 eV/atom
Energy relative to the lowest polymorph listed for this composition   377.1 meV/atom

Geometry as CIF:
```
data_Ti2AlZn2
_chemical_formula_sum 'Ti4 Al2 Zn4'
_space_group_name_H-M_alt 'P 4/m b m'
_space_group_IT_number 127
_space_group_name_Hall '-P 4 2ab'
_cell_length_a 7.155
_cell_length_b 7.155
_cell_length_c 3.320
_cell_angle_alpha 90.00
_cell_angle_beta 90.00
_cell_angle_gamma 90.00
loop_
_atom_site_label
_atom_site_type_symbol
_atom_site_fract_x
_atom_site_fract_y
_atom_site_fract_z
Ti1 Ti 0.155 0.345 0.000
Al1 Al 0.000 0.000 0.000
Zn1 Zn 0.145 0.645 0.500
```


2.
A relaxed structure of CaGeTeN2. Source: Alexandria via LeMat-Bulk, functional GGA-PBE.

Calculated values
Calculated total energy   -4.031 eV per atom
Size of the total moment   4.001 μB/f.u.
E_form (uncorrected)   1251 meV/atom
Energy relative to the lowest polymorph listed for this composition   635.9 meV/atom

Geometry as CIF:
```
data_CaGeTeN2
_chemical_formula_sum 'Ca1 Ge1 Te1 N2'
_space_group_name_H-M_alt 'P 4/m m m'
_space_group_IT_number 123
_space_group_name_Hall '-P 4 2'
_cell_length_a 4.540
_cell_length_b 4.540
_cell_length_c 6.325
_cell_angle_alpha 90.00
_cell_angle_beta 90.00
_cell_angle_gamma 90.00
loop_
_atom_site_label
_atom_site_type_symbol
_atom_site_fract_x
_atom_site_fract_y
_atom_site_fract_z
Ca1 Ca 0.000 0.000 0.000

Taylor Dart Contributor

Disclosure: This contributor held a long position in KGC at the time this blog post was published. This article is the opinion of the contributor themselves. Disclaimer: Taylor Dart is not a Registered Investment Advisor or Financial Planner. This writing is for informational purposes only. It does not constitute an offer to sell, a solicitation to buy, or a recommendation regarding any securities transaction. The information contained in this writing should not be construed as financial or investment advice on any subject matter. Taylor Dart expressly disclaims all liability in respect to actions taken based on any or all of the information in this writing. Given the volatility in the precious metals sector, position sizing is critical, so when buying small-cap precious metals stocks, position sizes should be limited to 5% or less of one's portfolio.